File.
____________
[1]
The following is a simulated PXRD pattern of LiMgHg2Bi. It was derived from a cell relaxed with PBE, using a wavelength of 1.5418 Å.
No peak broadening, texture or thermal motion is included.

Cell and atoms:
Cell lengths 7.714, 7.714, 5.924 Å; angles 90.00, 90.00, 135.12 degrees
Element x y z (fractional)
Li 0.144 0.856 0.750
Li 0.856 0.144 0.250
Mg 0.345 0.655 0.750
Mg 0.655 0.345 0.250
Hg 0.249 0.249 0.000
Hg 0.249 0.249 0.500
Hg 0.751 0.751 0.000
Hg 0.751 0.751 0.500
Bi 0.255 0.745 0.250
Bi 0.745 0.255 0.750

Main lines, in order of falling intensity (2θ = 10–80°):
- d = 2.735 Å, rel. 1000
- d = 2.721 Å, rel. 986
- d = 3.565 Å, rel. 870
- d = 1.802 Å, rel. 535
- d = 2.088 Å, rel. 501
- d = 4.008 Å, rel. 440
- d = 7.130 Å, rel. 408
- d = 1.854 Å, rel. 344
- d = 1.849 Å, rel. 342
- d = 3.137 Å, rel. 341

***

[2]
The following is a simulated PXRD pattern of Li2PuHgBi2. It was derived from a cell relaxed with PBE, using a wavelength of 1.5418 Å.
No peak broadening, texture or thermal motion is included.

Cell and atoms:
Cell lengths 4.913, 4.913, 7.093 Å; angles 90.00, 90.00, 120.00 degrees
Element x y z (fractional)
Li 0.333 0.667 0.150
Li 0.667 0.333 0.850
Pu 0.000 0.000 0.500
Hg 0.000 0.000 0.000
Bi 0.333 0.667 0.716
Bi 0.667 0.333 0.284

Main lines, in order of falling intensity (2θ = 10–80°):
- d = 2.724 Å, rel. 1000
- d = 2.457 Å, rel. 672
- d = 3.649 Å, rel. 595
- d = 1.824 Å, rel. 317
- d = 1.465 Å, rel. 314
- d = 4.255 Å, rel. 181
- d = 1.438 Å, rel. 173
- d = 1.418 Å, rel. 135
- d = 2.038 Å, rel. 126
- d = 2.067 Å, rel. 120

***

[3]
The following is a simulated PXRD pattern of Mg8Hg3Bi2. It was derived from a cell relaxed with PBE, using a wavelength of 1.5418 Å.
No peak broadening, texture or thermal motion is included.

Cell and atoms:
Cell lengths 8.784, 8.784, 4.757 Å; angles 90.00, 90.00, 114.09 degrees
Element x y z (fractional)
Mg 0.113 0.887 0.000
Mg 0.128 0.359 0.500
Mg 0.359 0.128 0.500
Mg 0.382 0.618 0.000
Mg 0.618 0.382 0.000
Mg 0.641 0.872 0.500
Mg 0.872 0.641 0.500
Mg 0.887 0.113 0.000
Hg 0.240 0.240 0.000
Hg 0.500 0.500 0.500
Hg 0.760 0.760 0.000
Bi 0.248 0.752 0.500
Bi 0.752 0.248 0.500

Main lines, in order of falling intensity (2θ = 10–80°):
- d = 2.487 Å, rel. 1000
- d = 4.003 Å, rel. 857
- d = 3.371 Å, rel. 483
- d = 3.685 Å, rel. 306
- d = 2.378 Å, rel. 224
- d = 2.389 Å, rel. 222
- d = 1.393 Å, rel. 178
- d = 2.184 Å, rel. 177
- d = 1.398 Å, rel. 160
- d = 1.686 Å, rel. 154

***

[4]
The following is a simulated PXRD pattern of Mg2Hg4Bi. It was derived from a cell relaxed with PBE, using a wavelength of 1.5418 Å.
No peak broadening, texture or thermal motion is included.

Cell and atoms:
Cell lengths 4.948, 3.621, 10.170 Å; angles 90.00, 102.73, 90.00 degrees
Element x y z (fractional)
Mg 0.080 0.000 0.155
Mg 0.920 0.000 0.845
Hg 0.196 0.500 0.397
Hg 0.344 0.000 0.684
Hg 0.656 0.000 0.316
Hg 0.804 0.500 0.603
Bi 0.500 0.500 0.000

Main lines, in order of falling intensity (2θ = 10–80°):
- d = 2.687 Å, rel. 1000
- d = 2.659 Å, rel. 967
- d = 2.925 Å, rel. 516
- d = 2.473 Å, rel. 507
- d = 3.307 Å, rel. 450
- d = 2.484 Å, rel. 371
- d = 2.435 Å, rel. 333
- d = 1.740 Å, rel. 286
- d = 1.470 Å, rel. 238
- d = 1.410 Å, rel. 206


1.
The following is a computed powder X-ray diffraction pattern of NbPbF6. It was derived from a cell relaxed with GGA-PBE, using Cu Kα X-rays.
Intensities are scaled so that the largest is 100.

Structural model:
Cell: 5.6535 5.6535 5.6535 Å, 53.85 53.85 53.85°
Atoms (fractional coordinates):
1 Nb 0.0000 0.0000 0.0000
2 Pb 0.5000 0.5000 0.5000
3 F 0.0062 0.4257 0.8072
4 F 0.1928 0.9938 0.5743
5 F 0.4257 0.8072 0.0062
6 F 0.5743 0.1928 0.9938
7 F 0.8072 0.0062 0.4257
8 F 0.9938 0.5743 0.1928

Most intense lines, 2θ = 15–90°, sorted by position:
- 2θ = 23.54°, I 100
- 2θ = 31.94°, I 59
- 2θ = 35.05°, I 28
- 2θ = 39.87°, I 12
- 2θ = 42.65°, I 29
- 2θ = 48.15°, I 13
- 2θ = 52.13°, I 35
- 2θ = 54.86°, I 12
- 2θ = 56.35°, I 22
- 2θ = 60.93°, I 17


2.
____________
Activity.
Your job: count the lines above that contain the word "Mg2Hg4Bi" and give the number alone.
Response.
1